Given >
........
LuHfSn: optimized geometry, PBE-GGA.

Lattice parameters (Å, degrees): 6.8767 6.8767 6.8767 90.00 90.00 90.00
Last column: nearest neighbours and their distance in Å.
Space group F-43m (No. 216)
Asymmetric unit:
Lu  0.0000  0.0000  0.0000 (multiplicity 4)  4 Sn 2.98
Hf  0.0000  0.0000  0.5000 (multiplicity 4)  4 Sn 2.98
Sn  0.2500  0.2500  0.7500 (multiplicity 4)  4 Hf 2.98, 4 Lu 2.98

## Properties
M_tot: 1.310 Bohr magnetons per cell
crystal system: cubic
volume: 325 Å³/cell
uncorrected energy: -73.78 eV per cell

HoErAl4Cu2: optimized geometry, PBE-GGA.

Lattice parameters (Å, degrees): 6.7816 4.2000 10.0452 90.00 90.00 90.00
Last column: nearest neighbours and their distance in Å.
Space group Amm2 (No. 38)
Asymmetric unit:
Ho  0.0000  0.0000  0.0000 (multiplicity 2)  3 Cu 2.84-3.03, 4 Al 3.02
Er  0.5000  0.0000  0.8588 (multiplicity 2)  3 Cu 2.84-3.03, 4 Al 3.02
Al  0.1973  0.0000  0.2895 (multiplicity 4)  3 Cu 2.54-2.59, 1 Al 2.68
Al  0.3031  0.0000  0.5694 (multiplicity 4)  3 Cu 2.54-2.59, 1 Al 2.67
Cu  0.0000  0.0000  0.7172 (multiplicity 2)  6 Al 2.54-2.59
Cu  0.5000  0.0000  0.1414 (multiplicity 2)  6 Al 2.54-2.59, 1 Er 2.84

## Properties
M_tot: 0.011 Bohr magnetons per cell
crystal system: orthorhombic
volume: 286 Å³/cell
uncorrected energy: -70.21 eV per cell

Which of these has the highest uncorrected energy? HoErAl4Cu2

What is the uncorrected energy in the second record? -70.21 eV per cell

Which value of M_tot does entry 1 give? 1.310 Bohr magnetons per cell

M_tot of number 2 (HoErAl4Cu2)? 0.011 Bohr magnetons per cell


*i*
TbY2Cd: relaxed, PBE-GGA.

Lattice parameters (Å, degrees): 3.6265 3.6265 32.1686 90.00 90.00 120.00
Sites, in units of the cell vectors:
Tb (0.0000, 0.0000, 0.0000)
Tb (0.3333, 0.6667, 0.6667)
Tb (0.6667, 0.3333, 0.3333)
Y (0.0000, 0.0000, 0.5772)
Y (0.0000, 0.0000, 0.7560)
Y (0.3333, 0.6667, 0.2439)
Y (0.3333, 0.6667, 0.4227)
Y (0.6667, 0.3333, 0.0894)
Y (0.6667, 0.3333, 0.9105)
Cd (0.0000, 0.0000, 0.1664)
Cd (0.3333, 0.6667, 0.8331)
Cd (0.6667, 0.3333, 0.4997)

*ii*
TbY2Cd: relaxed, PBE-GGA.

Lattice parameters (Å, degrees): 4.8779 4.8779 4.8487 90.00 90.00 90.00
Sites, in units of the cell vectors:
Tb (0.0000, 0.0000, 0.0000)
Y (0.0000, 0.5000, 0.5000)
Y (0.5000, 0.0000, 0.5000)
Cd (0.5000, 0.5000, 0.0000)

Which of them is the most stable, and which is the least stable? *ii* and *i*, in that order.

*i*
Tb2YCd2: relaxed, PBE-GGA.

Lattice parameters (Å, degrees): 5.1903 5.1903 6.3986 90.00 90.00 120.00
Sites, in units of the cell vectors:
Tb (0.3333, 0.6667, 0.1505)
Tb (0.6667, 0.3333, 0.8495)
Y (0.0000, 0.0000, 0.5000)
Cd (0.3333, 0.6667, 0.6537)
Cd (0.6667, 0.3333, 0.3463)

*ii*
Tb2YCd2: relaxed, PBE-GGA.

Lattice parameters (Å, degrees): 3.7371 5.3496 13.9221 90.00 97.73 90.00
Sites, in units of the cell vectors:
Tb (0.0458, 0.2500, 0.0905)
Tb (0.2352, 0.2500, 0.4713)
Tb (0.7648, 0.7500, 0.5287)
Tb (0.9542, 0.7500, 0.9095)
Y (0.1491, 0.7500, 0.2971)
Y (0.8509, 0.2500, 0.7029)
Cd (0.3594, 0.7500, 0.7190)
Cd (0.4477, 0.2500, 0.8961)
Cd (0.5523, 0.7500, 0.1039)
Cd (0.6406, 0.2500, 0.2810)

Which of them is the most stable, and which is the least stable? *ii* and *i*, in that order.

*i*
Tb2Y6Cd: relaxed, PBE-GGA.

Lattice parameters (Å, degrees): 9.5674 9.5674 9.5674 158.66 115.91 68.38
Sites, in units of the cell vectors:
Tb (0.1491, 0.1491, 0.0000)
Tb (0.8509, 0.8509, 0.0000)
Y (0.1597, 0.8209, 0.3388)
Y (0.2114, 0.5000, 0.7114)
Y (0.4821, 0.8209, 0.6612)
Y (0.5179, 0.1791, 0.3388)
Y (0.7886, 0.5000, 0.2886)
Y (0.8403, 0.1791, 0.6612)
Cd (0.5000, 0.0000, 0.5000)

*ii*
Tb2Y6Cd: relaxed, PBE-GGA.

Lattice parameters (Å, degrees): 9.4575 9.4575 3.6226 90.00 90.00 120.00
Sites, in units of the cell vectors:
Tb (0.3333, 0.6667, 0.0000)
Tb (0.6667, 0.3333, 0.0000)
Y (0.0000, 0.3800, 0.5000)
Y (0.0000, 0.7226, 0.0000)
Y (0.2774, 0.2774, 0.0000)
Y (0.3800, 0.0000, 0.5000)
Y (0.6200, 0.6200, 0.5000)
Y (0.7226, 0.0000, 0.0000)
Cd (0.0000, 0.0000, 0.5000)
........

Assignment >
Please work out how many lines further above have the word "Properties" in them; a number is enough.

Response >
2